Letters to the Editor

By The Columbia Chronicle

Breaking our own rules

Just minutes ago, I was on my way up the stairs in the 600 S. Michigan building to go to the Academic Computing Lab on the second floor…when who should I see but Columbia President John Duff. That would be no big deal to me on any other day of the week, but he was walking out of the stairwell with a cigar hanging out of his mouth! I couldn’t help but realize that on the door he walked out of, there was a sign from the Provost stating Columbia’s No Smoking rule. Shouldn’t the president of the college live up to the same rules and regulations that students, faculty, and staff must live up to?

Just a thought. Maybe he should have finished that awful-smelling thing in his office!

William Stevenson

Posted via Chronicle Forum

The Prez

I’m writing this letter in an attempt to expose the plethora of errors in the Dec. 7 editorial about President Clinton. Yes, criminals are not tried directly by public-opinion polls. However, they are tried by the public. What I mean is, laws are created by Congress, and Congress is elected by and subservient to the people.

So if, to use your rather outlandish example, at some point in time a majority of the public had espoused the opinion that a person should not be held accountable for robbing a gas station (or committing any other crime) because he was “really high on crack,” then that opinion would (or at least should) be drafted into a bill and passed into law.

And for those of you who think that something so ridiculous and contradictory to what most of us now perceive to be basic human rights (in this example, the right to not be robbed) would never happen, I would remind you of a little thing called slavery that we had in this country for a couple hundred years. My point is, congressmen and women don’t “go against” the opinion of the majority of their constituents (slavery was indeed supported by a majority of the inhabitants of slave states), and contrary to what you stated, they never should.

What do you think a democracy is? What was the point of the American Revolution? With regard to your statement that “many important decisions have been made when government (especially the Supreme Court) has gone against public opinion,” I would argue that such a feat is basically impossible, seeing as how the Supreme Court (and any other court) is bound by existing laws, which as I’ve said a couple times before, would not exist if they were not supported by a majority of the people in this country.

Lastly, in response to your question, “If Bill Clinton is the Commander in Chief and the military has a policy of discharging officers guilty of committing adultery, then doesn’t it stand to reason that Bill Clinton should be removed from his position?”

He is subject to the same laws as the rest of us average citizens, and if Ken Starr wants to try to prosecute Mr. Clinton for perjury in a criminal court of law, nobody’s going to stop him. But we’re talking about impeachment here, and at the core of that issue is: did the president commit perjury, and if he did, does that (or those) particular perjuries statement(s) amount to an impeachable offense?

First of all, it is not by any stretch of the imagination accepted as fact that the president has perjured himself (misled, yes; lied, maybe; perjured himself, almost certainly not). Secondly, even if it is decided that he did commit perjury, a phalanx of law professors and constitutional experts and historians that have appeared before the House Judiciary Committee in the past few weeks have said that perjury about sex should not be an impeachable offense.

_Attached: molecular data_
'''
1.
Formula: HN3O3
Source: the OMol25 dataset
Level of theory: ωB97M-V with the def2-TZVPD basis set

Each line ends with the Löwdin charge.
Positions of all 7 atoms, in Å:
N1 -0.65 0.25 -0.28  -0.1333
N2 0.21 0.85 0.31  0.0856
N3 -1.02 -0.19 -1.44  -0.5377
O1 2.32 0.36 2.85  -0.8183
O2 -2.01 0.48 -1.89  -0.2080
O3 -0.80 -1.43 -1.71  -0.1878
H1 1.95 -0.32 2.17  -0.2005

- Kohn-Sham gap (alpha / beta) (eV) = 6.2 / 6.2
- E_HOMO (alpha / beta) (eV) = 0.968 / 0.976
- total charge = -2
- ΔE to the lowest compared entry with this formula, charge and spin (kcal/mol) = 16.6

=====

2.
Formula: HN3O3
Source: the OMol25 dataset
Level of theory: ωB97M-V with the def2-TZVPD basis set

Each line ends with the Löwdin charge.
Positions of all 7 atoms, in Å:
N1 1.42 -1.20 0.13  0.0493
N2 -0.81 -0.62 0.47  -0.2503
N3 2.24 -0.29 0.00  -0.7366
O1 -1.63 -1.25 -0.33  -0.4728
O2 1.97 0.96 -0.07  -0.2492
O3 3.49 -0.63 -0.07  -0.3005
H1 -0.48 0.25 -0.01  -0.0399

- Kohn-Sham gap (alpha / beta) (eV) = 5.4 / 6.5
- E_HOMO (alpha / beta) (eV) = 2.564 / 1.446
- total charge = -2
- ΔE to the lowest compared entry with this formula, charge and spin (kcal/mol) = 33.3

=====

3.
Formula: HN3O4S
Source: the OMol25 dataset
Level of theory: ωB97M-V with the def2-TZVPD basis set

Each line ends with the Löwdin charge.
Positions of all 9 atoms, in Å:
N1 -0.50 2.27 -0.60  0.1910
N2 -0.50 1.10 -0.81  -0.3470
N3 0.52 -1.68 1.06  -0.6256
O1 0.20 -2.80 0.91  0.0158
O2 0.66 -1.05 2.04  0.0779
O3 -1.13 0.15 -0.97  0.0236
O4 1.19 0.41 -0.44  -0.4981
S1 1.00 -1.04 -0.65  1.0470
H1 -1.46 2.64 -0.55  0.1154

- Kohn-Sham gap (alpha / beta) (eV) = 8.5 / 8.5
- E_HOMO (alpha / beta) (eV) = -9.611 / -9.612
- ΔE to the lowest compared entry with this formula, charge and spin (kcal/mol) = 118.7

=====

4.
Formula: HN6O2
Source: the OMol25 dataset
Level of theory: ωB97M-V with the def2-TZVPD basis set

Each line ends with the Löwdin charge.
Positions of all 9 atoms, in Å:
N1 -1.91 2.07 -0.15  0.1403
N2 -0.87 1.59 -0.08  -0.2518
N3 0.33 1.48 -0.10  0.0015
N4 0.93 0.31 0.32  -0.0385
N5 -0.82 -1.04 0.10  -0.1435
N6 0.46 -0.98 0.08  -0.3951
O1 -1.41 -2.18 -0.11  -0.2547
O2 1.41 -1.76 -0.24  -0.1599
H1 1.90 0.51 0.16  0.1016

- Kohn-Sham gap (alpha / beta) (eV) = 7.1 / 7.1
- E_HOMO (alpha / beta) (eV) = -2.966 / -2.967
- total charge = -1
- ΔE to the lowest compared entry with this formula, charge and spin (kcal/mol) = 0.0

* * * * *

6
Properties=species:S:1:pos:R:3:forces:R:3 method="wB97M-V/def2-TZVPD" homo_lumo_gap_ev="7.4 / 7.4" charge=0 multiplicity=1 homo_energy_ev="-8.39 / -8.36" smiles="O=C=S.N=S" e_above_lowest_kcal_mol=17.28
C 2.912411 0.409595 -0.012502 -1.02 0.98 -0.49
N -0.040889 -0.479919 0.087254 -0.49 -2.41 2.35
O 1.914688 0.975377 -0.148144 0.63 0.38 0.17
S 4.268199 -0.299509 0.079234 1.08 -0.74 0.26
S 0.595273 -1.882389 -0.090915 -0.42 1.01 -0.51
H -0.165005 0.303091 -0.486254 0.23 0.79 -1.78

=====

7
'''

The president should be censured, and if necessary tried in criminal court after his administration ends, but he should NOT be impeached.

Brian Allinson


Television Major

The President’s Club

As a Columbia alumnus, and heretofore a closet reader of The Chronicle, I am somewhat ashamed of the fact that I cannot wean myself from its routine shortsightedness. Case in point, Kelly M. Woyan’s article “President’s Club, Something For Nothing,” printed in the Dec. 7 edition.

Ms. Woyan’s article was not one at all. It was a foolishly cynical diatribe that skews the truth and misses the point. Columbia’s President Club is nothing more than a group of like-minded alumni and friends of the college, who believe in this school, its mission, and students like Ms. Woyan. These professionals raise thousands of dollars annually for scholarships.

My advice to Ms. Woyan is that to succeed in journalism, she must quickly learn two rules. First, no rational person expects a journalist to be devoid of opinion. However, one hopes that a reporter can at least learn how to be more subliminal in their value added writing. Second, please come to terms with the fact that nothing exists in a vacuum. Columbia College does not operate on tuition dollars alone. The Chronicle does not get published without advertisers. And Columbia journalism students do not find jobs without leads from their instructors.

Rather than using ink to debunk programs that work, why not use it to speak of the growth of Columbia, to the inventiveness of its students and to the high rapport that it enjoys because of opinion leaders and President’s Club members who promote its interests daily.

Ms. Woyan, Columbia’s success is your success. Lobbing cheap shots may satisfy a proverbial anger at the system, but in the real world, they go nowhere. In life, only those who produce solutions are ever asked to join the club.

Michael Wojcik

Class of ‘96

The U-Pass, naturally

I would like to point out a glaring flaw in Columbia’s argument against joining the U-Pass program. As I understand it, a concisive survey is planned to determine if at least 60 percent of the students at Columbia want the U-Pass. But, since when does a decision the school makes concerning the spending of funds have to benefit 60 percent of the students? Columbia should join the U-Pass program because it would benefit a large number of people — even if it falls short of 60 percent. The Residence Center doesn’t benefit 60 percent of the student body, neither does the new dance center. In fact, there is not a single department that contains 60 percent of Columbia’s students. And yet all of our money contributes to these things whether we use them or not. So I ask this question: Doesn’t it stand to reason that if the U-Pass is put to a vote, then all the school’s spending decisions should be voted on? Especially in light of the fact that a large part of our money seems to be going toward investing in Columbia’s future (through capital improvement and purchasing buildings) rather than benefitting the current students, it seems to me that Columbia would definitely not want this to happen.

Mark Dascoli

Film/Video Major